TrOCR model fine-tuning [Transformer-based optical character recognition]

The TrOCR (Transformer-based Optical Character Recognition) model is one of the best performing OCR models. In our previous article we analyzed their performance on single lines of printed and handwritten text. However, like any other deep learning model, they have their limitations. TrOCR doesn’t perform well with curved text out of the box. This article […]

Qt uses VCPKG, CMake, OpenCV and Tesseract to implement Chinese and English OCR

Article directory 1. Development platform 2. Download files 2.1 Download and install the OpenCV library 2.2 Download and install the Tesseract-OCR library 2.3 Download the trained language package 3. CMakeLists.txt content 4. Main.cpp 4.1 Mixed Chinese and English OCR 5. Set up CMake + vcpkg in Qt Creator 5.1 Modify in the initialization configuration file […]

Pitfalls and solutions encountered when using GPU to train paddleocr model on new ubuntu

Directory 1. My ubuntu version! [Insert image description here]( 2. First pull the paddleocr source code 3. Download the model 4. Preparation before training 1. Create a file in the source code folder to put your own things 2. Prepare data 2.1 Data annotation 2.2 Data division 3. Rewrite the yml configuration file 4.Install anaconda […]

Front-end (25) – Detailed steps and sample code for front-end implementation of OCR image and text recognition

Blogger: The kitten is here The core of the article: Detailed steps and sample code for front-end implementation of OCR image and text recognition Article directory Introduction to OCR technology Step 1: Determine which OCR API to use Step 2: Create the front-end interface Step 3: Add image upload function Step 4: Send identification request […]

- - -
No. 1
# Sr2InRu

A geometry-optimized Sr2InRu structure (PBE, Alexandria via LeMat-Bulk).

Cell and atoms, written as extended XYZ:
```
4
Lattice="6.495 0.027 0.023 3.043 5.738 -0.023 -4.174 -3.866 3.132" Properties=species:S:1:pos:R:3 pbc="T T T"
Ru 2.075 2.532 1.555
In 4.241 2.564 0.000
Sr 3.429 -0.548 1.578
Sr 0.387 0.234 0.000
```

No. 2
# Sr3InRu

A geometry-optimized Sr3InRu structure (PBE, Alexandria via LeMat-Bulk).

Summary:
As for the distance to the lowest polymorph of the same formula: 0.00 eV/f.u.

Cell and atoms, written as extended XYZ:
```
5
Lattice="-1.918 -1.070 -5.284 3.097 -4.809 -0.150 -4.413 -2.910 2.191" Properties=species:S:1:pos:R:3 pbc="T T T"
Ru 0.000 0.000 0.000
In -1.617 -4.395 -1.622
Sr -0.959 -0.535 -2.642
Sr -2.207 -1.455 1.095
Sr 1.548 -2.405 -0.075
```

No. 3
# Sr2InRu

A geometry-optimized Sr2InRu structure (PBE, Alexandria via LeMat-Bulk).

Cell and atoms, written as extended XYZ:
```
4
Lattice="-3.593 0.752 0.208 -0.660 -3.450 1.085 1.024 2.512 8.606" Properties=species:S:1:pos:R:3 pbc="T T T"
In 0.584 1.432 4.906
Sr -1.792 -0.529 3.455
Sr 0.942 2.310 7.915
Ru -1.426 0.369 6.533
```

No. 4
# SrInRu

A geometry-optimized SrInRu structure (PBE, Alexandria via LeMat-Bulk).

Cell and atoms, written as extended XYZ:
```
3
Lattice="3.686 0.000 0.000 -1.843 3.192 0.000 0.000 0.000 6.630" Properties=species:S:1:pos:R:3 pbc="T T T"
Ru 1.843 1.064 2.050
In 0.000 0.000 0.401
Sr 0.000 2.128 4.179
```

| no. | E_form (eV/f.u.) |
| --- | --- |
| 1 | 0.40 |
| 2 | 1.03 |
| 3 | 0.27 |
| 4 | 1.08 |

~~~~~

A:
Material: TlPd15
Method: DFT, PBE-GGA
State: relaxed

Cell and atoms, written as POSCAR:
```
TlPd15
1.0
5.554 0.000 0.000
0.000 3.869 0.000
-0.020 0.000 33.178
Tl Pd
2 30
Cartesian
0.000 0.000 0.000
1.369 1.934 21.825
5.550 0.000 3.097
5.546 0.000 8.802
5.543 0.000 14.433
-0.006 0.000 17.280
1.375 1.934 4.548
1.383 1.934 1.671
1.380 1.934 7.392
1.377 1.934 13.022
1.373 1.934 18.731
1.381 1.934 10.209
1.376 1.934 15.851
2.755 0.000 17.280
2.764 0.000 14.434
2.758 0.000 20.160
2.777 0.000 0.311
2.773 0.000 3.158
2.771 0.000 5.984
2.769 0.000 8.801
2.768 0.000 11.612
4.156 1.934 10.210
4.154 1.934 13.022
4.153 1.934 15.843
4.150 1.934 18.674
4.146 1.934 21.527
4.166 1.934 1.672
4.159 1.934 7.390
4.168 1.934 4.547
5.547 0.000 5.974
5.543 0.000 11.613
5.539 0.000 20.161
```

## Properties
Space group: Pm, No. 6



B:
Material: TlPd15
Method: DFT, PBE-GGA
State: relaxed

Cell and atoms, written as POSCAR:
```
TlPd15
1.0
3.912 0.000 0.000
0.000 3.913 0.000
0.000 0.000 43.924
Tl Pd
2 30
Cartesian
0.978 0.000 6.814
2.934 0.000 37.110
0.978 0.000 11.152
0.978 0.000 15.100
0.978 0.000 19.034
0.978 0.000 22.934
0.978 0.000 26.851
0.978 0.000 30.797
0.978 0.000 34.809
0.978 1.956 9.114
0.978 1.956 13.127
0.978 1.956 17.072
0.978 1.956 20.988
0.978 1.956 24.894
0.978 1.956 28.813
0.978 1.956 32.801
0.978 1.956 36.832
2.934 0.000 9.114
2.934 0.000 13.127
2.934 0.000 17.072
2.934 0.000 20.989
2.934 0.000 24.890
2.934 0.000 28.824
- - -

PPocr-openvino implementation (C++)

Foreword Tasks during the trial period The entry interview was about deep learning, but I never touched deep learning again after I came in. . . was arranged into traditional images and some traditional algorithms. . It is still a sweat enterprise, requiring unpaid overtime (no probationary period subsidies), and being contacted at any time […]

OpenCV implements OCR (optical character recognition)

Introduction: With the continuous development of computer vision technology, OCR (optical character recognition) technology has become more and more mature. OCR technology can identify text information in images and convert it into editable text format, providing convenience for various application scenarios. This article will introduce how to use the OpenCV library to implement camera OCR. […]

PDF file text copy permission is encrypted, but all text in the PDF is required. Solution: Python + FineReaderOCR

This time I really found a powerful OCR to help me solve the problem 1. The usual situation If you need to extract text from PDF, the first software that comes to mind is Format Factory. Just use its “PDF→Text” function. The advantage is that the software runs quickly and the processing time is short. […]

Python Mnist handwritten multi-digit recognition based on paddleocr2.7.0

Directory of series articles Chapter 1 Python Mnist handwritten multi-digit recognition based on paddleocr2.7.0 Article directory Table of Contents of Series Articles Preface 1. Install PaddleOCR 2. Configuration environment 3. Create a handwritten digit data set 1. Splicing data sets Splicing the data set from 0-99: 2.Data display 4. Training model 1. Download the pre-trained […]